To do:
Return the lines underneath up to the one that holds "0.322 0.589", that line included.
Material:
'''
No. 1
A plane-wave DFT calculation with PBE with a Hubbard U was carried out for a geometry-optimized K2V2CoO7 structure.

Energy relative to the elements = -2270 meV per atom
Crystal system = tetragonal
Energy with MP2020 corrections = -0.274 Ha/atom

Structure (CIF):
```
data_K2V2CoO7
_chemical_formula_sum 'K4 V4 Co2 O14'
_symmetry_space_group_name_H-M 'P 1'
_symmetry_Int_Tables_number 1
_cell_length_a 8.586
_cell_length_b 8.586
_cell_length_c 5.713
_cell_angle_alpha 90.00
_cell_angle_beta 90.00
_cell_angle_gamma 90.00
loop_
_symmetry_equiv_pos_as_xyz
'x,y,z'
loop_
_atom_site_label
_atom_site_type_symbol
_atom_site_fract_x
_atom_site_fract_y
_atom_site_fract_z
K1 K 0.162 0.338 0.491
K2 K 0.338 0.838 0.509
K3 K 0.662 0.162 0.509
K4 K 0.838 0.662 0.491
V1 V 0.142 0.642 0.950
V2 V 0.358 0.142 0.050
V3 V 0.642 0.858 0.050
V4 V 0.858 0.358 0.950
Co1 Co 0.000 0.000 0.000
Co2 Co 0.500 0.500 0.000
O1 O 0.000 0.500 0.843
O2 O 0.089 0.822 0.831
O3 O 0.145 0.645 0.244
O4 O 0.178 0.089 0.169
O5 O 0.322 0.589 0.831
O6 O 0.355 0.145 0.756
O7 O 0.411 0.322 0.169
O8 O 0.500 0.000 0.157
O9 O 0.589 0.678 0.169
O10 O 0.645 0.855 0.756
O11 O 0.678 0.411 0.831
O12 O 0.822 0.911 0.169
O13 O 0.855 0.355 0.244
O14 O 0.911 0.178 0.831
```

---

No. 2
A plane-wave DFT calculation with PBE with a Hubbard U was carried out for a geometry-optimized SrLi3La11Co3O24 structure.

Energy relative to the elements = -3163 meV per atom
Crystal system = monoclinic
Energy with MP2020 corrections = -0.293 Ha/atom

Structure (CIF):
```
data_SrLi3La11Co3O24
_chemical_formula_sum 'Sr2 Li6 La22 Co6 O48'
_symmetry_space_group_name_H-M 'P 1'
_symmetry_Int_Tables_number 1
_cell_length_a 7.562
_cell_length_b 7.562
_cell_length_c 19.583
_cell_angle_alpha 95.58
_cell_angle_beta 95.58
_cell_angle_gamma 90.09
loop_
_symmetry_equiv_pos_as_xyz
'x,y,z'
loop_
_atom_site_label
_atom_site_type_symbol
_atom_site_fract_x
_atom_site_fract_y
_atom_site_fract_z
Sr1 Sr 0.189 0.189 0.259
Sr2 Sr 0.811 0.811 0.741
Li1 Li 0.082 0.584 0.831
Li2 Li 0.250 0.750 0.500
Li3 Li 0.416 0.918 0.169
Li4 Li 0.584 0.082 0.831
Li5 Li 0.750 0.250 0.500
Li6 Li 0.918 0.416 0.169
La1 La 0.022 0.022 0.591
La2 La 0.024 0.524 0.593
La3 La 0.141 0.645 0.074
La4 La 0.143 0.143 0.078
La5 La 0.188 0.693 0.258
La6 La 0.307 0.812 0.742
La7 La 0.308 0.308 0.740
La8 La 0.354 0.354 0.924
La9 La 0.355 0.859 0.926
La10 La 0.474 0.474 0.409
La11 La 0.476 0.976 0.407
La12 La 0.524 0.024 0.593
La13 La 0.526 0.526 0.591
La14 La 0.645 0.141 0.074
La15 La 0.646 0.646 0.076
La16 La 0.692 0.692 0.260
La17 La 0.693 0.188 0.258
La18 La 0.812 0.307 0.742
La19 La 0.857 0.857 0.922
La20 La 0.859 0.355 0.926
La21 La 0.976 0.476 0.407
La22 La 0.978 0.978 0.409
Co1 Co 0.084 0.084 0.834
Co2 Co 0.250 0.250 0.501
Co3 Co 0.417 0.417 0.166
Co4 Co 0.583 0.583 0.834
Co5 Co 0.750 0.750 0.499
Co6 Co 0.916 0.916 0.166
O1 O 0.005 0.250 0.501
O2 O 0.060 0.060 0.713
O3 O 0.063 0.544 0.712
O4 O 0.086 0.329 0.835
O5 O 0.087 0.839 0.836
O6 O 0.116 0.609 0.954
O7 O 0.117 0.117 0.955
O8 O 0.161 0.913 0.164
O9 O 0.174 0.419 0.165
O10 O 0.223 0.718 0.379
O11 O 0.225 0.225 0.385
O12 O 0.250 0.005 0.501
O13 O 0.254 0.496 0.501
O14 O 0.281 0.281 0.619
O15 O 0.282 0.777 0.621
O16 O 0.329 0.086 0.835
O17 O 0.340 0.581 0.834
O18 O 0.391 0.884 0.046
O19 O 0.392 0.392 0.058
O20 O 0.419 0.174 0.165
O21 O 0.419 0.660 0.166
O22 O 0.447 0.447 0.274
O23 O 0.456 0.937 0.288
O24 O 0.496 0.254 0.501
O25 O 0.504 0.746 0.499
O26 O 0.544 0.063 0.712
O27 O 0.553 0.553 0.726
O28 O 0.581 0.340 0.834
O29 O 0.581 0.826 0.835
O30 O 0.608 0.608 0.942
O31 O 0.609 0.116 0.954
O32 O 0.660 0.419 0.166
O33 O 0.671 0.914 0.165
O34 O 0.718 0.223 0.379
O35 O 0.719 0.719 0.381
O36 O 0.746 0.504 0.499
O37 O 0.750 0.995 0.499
O38 O 0.775 0.775 0.615
O39 O 0.777 0.282 0.621
O40 O 0.826 0.581 0.835
O41 O 0.839 0.087 0.836
O42 O 0.883 0.883 0.045
O43 O 0.884 0.391 0.046
O44 O 0.913 0.161 0.164
O45 O 0.914 0.671 0.165
O46 O 0.937 0.456 0.288
O47 O 0.940 0.940 0.287
O48 O 0.995 0.750 0.499
```

---
'''
Worked solution:
No. 1
A plane-wave DFT calculation with PBE with a Hubbard U was carried out for a geometry-optimized K2V2CoO7 structure.

Energy relative to the elements = -2270 meV per atom
Crystal system = tetragonal
Energy with MP2020 corrections = -0.274 Ha/atom

Structure (CIF):
```
data_K2V2CoO7
_chemical_formula_sum 'K4 V4 Co2 O14'
_symmetry_space_group_name_H-M 'P 1'
_symmetry_Int_Tables_number 1
_cell_length_a 8.586
_cell_length_b 8.586
_cell_length_c 5.713
_cell_angle_alpha 90.00
_cell_angle_beta 90.00
_cell_angle_gamma 90.00
loop_
_symmetry_equiv_pos_as_xyz
'x,y,z'
loop_
_atom_site_label
_atom_site_type_symbol
_atom_site_fract_x
_atom_site_fract_y
_atom_site_fract_z
K1 K 0.162 0.338 0.491
K2 K 0.338 0.838 0.509
K3 K 0.662 0.162 0.509
K4 K 0.838 0.662 0.491
V1 V 0.142 0.642 0.950
V2 V 0.358 0.142 0.050
V3 V 0.642 0.858 0.050
V4 V 0.858 0.358 0.950
Co1 Co 0.000 0.000 0.000
Co2 Co 0.500 0.500 0.000
O1 O 0.000 0.500 0.843
O2 O 0.089 0.822 0.831
O3 O 0.145 0.645 0.244
O4 O 0.178 0.089 0.169
O5 O 0.322 0.589 0.831